GLMA Annual Conference 2008 - Improving Training in LGBTI Health: A Workshop for Students Professionals Interested in Making Institutional Change

Sample LGBT Health Curriculum Needs Assessment Survey

(Fill in Name of Medical School)Date of Survey: ______

About YOU:

1. What is your year in school? (circle one) MS I MS II MS III MS IV

2. Do you identify as LGBT? Yes No

3. Do you identify as an LGBT Ally? Yes No

4. On a scale of 1 to 5, how important do you think it is to spend time on LGBT health in the formal medical school curriculum?

(1) Unimportant (2) Somewhat unimportant (3) Neutral (4) Important (5) Very important


5. How well does the formal curriculum here address LGBT Health OVERALL?

Crystal structures that have nothing to do with the text
____________
(1)
# Pr2CdPdO5, relaxed, DFT PBE
# VASP energy = -116.08 eV/cell
# ΔE_f (raw) = -1.953 eV per atom
# Magnetic moment = 0.000 μB/atom
data_Pr2CdPdO5
_cell_length_a 6.8415
_cell_length_b 6.8415
_cell_length_c 5.7825
_cell_angle_alpha 90.00
_cell_angle_beta 90.00
_cell_angle_gamma 90.00
_space_group_name_H-M_alt 'P 4/m b m'
_space_group_IT_number 127
_space_group_name_Hall '-P 4 2ab'
loop_
_atom_site_label
_atom_site_fract_x
_atom_site_fract_y
_atom_site_fract_z
_atom_site_occupancy
Pr1 0.1721 0.3279 0.0000 1
Cd1 0.0000 0.0000 0.5000 1
Pd1 0.0000 0.5000 0.5000 1
O1 0.0000 0.0000 0.0000 1
O2 0.1432 0.6432 0.2522 1

---

(2)
# PmDyRh, relaxed, DFT PBE
# VASP energy = -73.37 eV/cell
# N(E_F) = 13.04 states/eV per cell
# E above lowest polymorph = 0 meV/atom
# Energy of formation from the pure elements = -0.546 eV per atom
# Magnetic moment = 0.000 μB/atom
data_PmDyRh
_cell_length_a 5.8347
_cell_length_b 4.1085
_cell_length_c 13.7538
_cell_angle_alpha 90.00
_cell_angle_beta 90.00
_cell_angle_gamma 90.00
_space_group_name_H-M_alt 'P n m a'
_space_group_IT_number 62
loop_
_space_group_symop_operation_xyz
'x,y,z'
'-x,-y,-z'
'-x+1/2,-y,z+1/2'
'x+1/2,y,-z+1/2'
'x+1/2,-y+1/2,-z+1/2'
'-x+1/2,y+1/2,z+1/2'
'-x,y+1/2,-z'
'x,-y+1/2,z'
loop_
_atom_site_label
_atom_site_fract_x
_atom_site_fract_y
_atom_site_fract_z
_atom_site_occupancy
Pm1 0.1355 0.2500 0.1636 1
Dy1 0.1383 0.7500 0.4114 1
Rh1 0.1683 0.7500 0.0226 1

---

(3)
# Al2HgP, relaxed, DFT PBE
# VASP energy = -52.65 eV/cell
# N(E_F) = 9.87 states/eV per cell
# E above lowest polymorph = 125 meV/atom
# Energy of formation from the pure elements = 0.009 eV per atom
# Magnetic moment = 0.000 μB/atom
data_Al2HgP
_cell_length_a 6.2132
_cell_length_b 6.2132
_cell_length_c 9.8859
_cell_angle_alpha 90.00
_cell_angle_beta 90.00
_cell_angle_gamma 90.00
_space_group_name_H-M_alt 'I -4 2 d'
_space_group_IT_number 122
_space_group_name_Hall 'I -4 2bw'
loop_
_atom_site_label
_atom_site_fract_x
_atom_site_fract_y
_atom_site_fract_z
_atom_site_occupancy
Al1 0.2126 0.2500 0.1250 1
Hg1 0.0000 0.0000 0.5000 1
P1 0.0000 0.0000 0.0000 1

---

(4)
# YCu2Se, relaxed, DFT PBE
# VASP energy = -20.13 eV/cell
# N(E_F) = 1.40 states/eV per cell
# ΔE_f (raw) = -0.496 eV per atom
# Magnetic moment = 0.000 μB/atom
data_YCu2Se
_cell_length_a 3.7062
_cell_length_b 4.3442
_cell_length_c 4.8172
_cell_angle_alpha 90.00
_cell_angle_beta 90.38
_cell_angle_gamma 90.00
_space_group_name_H-M_alt 'P 1 2/m 1'
_space_group_IT_number 10
loop_
_space_group_symop_operation_xyz
'x,y,z'
'-x,-y,-z'
'-x,y,-z'
'x,-y,z'
loop_
_atom_site_label
_atom_site_fract_x
_atom_site_fract_y
_atom_site_fract_z
_atom_site_occupancy
Y1 0.0000 0.0000 0.0000 1
Cu1 0.4948 0.5000 0.7589 1
Se1 0.5000 0.0000 0.5000 1

---

(5)
# YFeSn2P, relaxed, DFT PBE
# VASP energy = -22.97 eV/cell
# N(E_F) = 7.46 states/eV per cell
# Energy of formation from the pure elements = 1.074 eV per atom
# Magnetic moment = 0.766 μB/atom
data_YFeSn2P
_cell_length_a 5.6760
_cell_length_b 5.6760
____________

(1) Poorly (2) Somewhat poorly (3) Adequately (4) Well (5) Very well

6. How well do our pre-clinical classes (Years I and II) address LGBT Health OVERALL?

(1) Poorly (2) Somewhat poorly (3) Adequately (4) Well (5) Very well

7. In particular, please rate these individual PRE-CLINICAL classes on how well they address LGBT health:

_Misplaced materials data_
'''
The following is a PBE calculation of an optimized crystal structure of ErGa2Ir, from the Alexandria database.

a b c (Å): 7.954 6.825 5.482
angles (deg): 90.00 90.00 90.00
Space group Pnma (No. 62)
One atom of each set of equivalent atoms:
Er 0.047 0.250 0.118
Ga 0.172 0.052 0.615
Ir 0.108 0.750 0.356

Results
**ΔE_f**: -2.9 eV per formula unit
**DFT total energy**: -5.58 eV per atom

***

The following is a PBE calculation of an optimized crystal structure of ErGa3Ir, from the Alexandria database.

a b c (Å): 6.407 6.407 6.407
angles (deg): 90.00 90.00 90.00
Space group Pm-3m (No. 221)
One atom of each set of equivalent atoms:
Er 0.000 0.000 0.500
Ga 0.000 0.000 0.000
Ga 0.287 0.287 0.287
Ir 0.000 0.500 0.500

Results
**Offset from the most stable computed form**: 0.0000 eV/atom
**ΔE_f**: -3.3 eV per formula unit
**DFT total energy**: -5.17 eV per atom

***

The following is a PBE calculation of an optimized crystal structure of ErGaIr, from the Alexandria database.

a b c (Å): 4.4452 4.4452 3.3291
angles (deg): 90.00 90.00 120.00
Space group P-6m2 (No. 187)
One atom of each set of equivalent atoms:
Er 0.0000 0.0000 0.0000
Ga 0.6667 0.3333 0.5000
Ir 0.3333 0.6667 0.5000

Results
**ΔE_f**: -2.3 eV per formula unit
**DFT total energy**: -6.24 eV per atom

***

The following is a PBE calculation of an optimized crystal structure of Er3Ga3Ir, from the Alexandria database.

a b c (Å): 10.703 4.135 14.396
angles (deg): 90.00 108.34 90.00
Space group C2/m (No. 12)
One atom of each set of equivalent atoms:
Er 0.027 0.000 0.381
Er 0.110 0.000 0.923
Er 0.238 0.000 0.237
Ga 0.023 0.500 0.228
Ga 0.108 0.500 0.075
Ga 0.143 0.500 0.535
Ir 0.239 0.500 0.382

Results
**ΔE_f**: -5.1 eV per formula unit
**DFT total energy**: -5.25 eV per atom

***

The following is a PBE calculation of an optimized crystal structure of Er3GaIr2, from the Alexandria database.

a b c (Å): 11.629 3.944 11.655
angles (deg): 90.00 90.00 90.00
Space group Pnma (No. 62)
One atom of each set of equivalent atoms:
Er 0.049 0.250 0.122
Er 0.134 0.750 0.574
Er 0.199 0.250 0.823
Ga 0.121 0.250 0.374
Ir 0.005 0.750 0.309
Ir 0.188 0.750 0.994

Results
**ΔE_f**: -4.7 eV per formula unit
**DFT total energy**: -6.52 eV per atom

***

The following is a PBE calculation of an optimized crystal structure of Er3Ga3Ir2, from the Alexandria database.

a b c (Å): 7.779 15.180 5.540
angles (deg): 90.00 90.00 90.00
Space group Pnma (No. 62)
One atom of each set of equivalent atoms:
Er 0.040 0.109 0.111
Er 0.177 0.250 0.634
Ga 0.164 0.750 0.632
Ga 0.179 0.035 0.603
Ir 0.111 0.610 0.377

Results
**ΔE_f**: -6.3 eV per formula unit
**DFT total energy**: -5.84 eV per atom

***

The following is a PBE calculation of an optimized crystal structure of Er5GaIr4, from the Alexandria database.

a b c (Å): 3.446 3.446 17.023
angles (deg): 90.00 90.00 90.00
Space group P4/mmm (No. 123)
One atom of each set of equivalent atoms:
Er 0.000 0.000 0.000
Er 0.000 0.000 0.196
Er 0.000 0.000 0.390
Ga 0.500 0.500 0.500
'''

a. History Taking & Physical Exam
(0) Not Present / (1) Poorly / (2) Somewhat
poorly / (3) Adequately / (4) Well / (5) Very well
What does this class do well relating to LGBT health?
What could it do better?
b. Problem-Based Learning
(0) Not Present / (1) Poorly / (2) Somewhat
poorly / (3) Adequately / (4) Well / (5) Very well
What does this class do well relating to LGBT health?
What could it do better?
c. Infectious Disease(modify course topics to fit your curriculum)
(0) Not Present / (1) Poorly / (2) Somewhat
poorly / (3) Adequately / (4) Well / (5) Very well
What does this class do well relating to LGBT health?
What could it do better?
d. Cardiology (modify course topics to fit your curriculum)
0) Not Present / (1) Poorly / (2) Somewhat
poorly / (3) Adequately / (4) Well / (5) Very well
What does this class do well relating to LGBT health?
What could it do better?
e. Endocrine(modify course topics to fit your curriculum)
(0) Not Present / (1) Poorly / (2) Somewhat
poorly / (3) Adequately / (4) Well / (5) Very well
What does this class do well relating to LGBT health?
What could it do better?

8. How well do our clinical clerkships (Years III and IV) address LGBT Health OVERALL?

_These data records were left in the page by mistake_
~~~
No. 1
Here is a relaxed Ac8Bi2Pb3 crystal from Alexandria. Energies are from PBE.

Cell: 9.7843 9.7843 8.3387 Å, 106.78 106.78 56.40°
Closest atoms and distances in Å follow each position.
Fractional coordinates of all 13 atoms:
Ac 0.1047 0.1047 0.3466  2 Pb 3.34, 1 Bi 3.45
Ac 0.1320 0.6435 0.0933  2 Pb 3.31, 2 Bi 3.45-3.48
Ac 0.3565 0.8680 0.9067  2 Pb 3.31, 2 Bi 3.45-3.48
Ac 0.3859 0.3859 0.5805  3 Pb 3.35-3.41, 1 Bi 3.52
Ac 0.6141 0.6141 0.4195  3 Pb 3.35-3.41, 1 Bi 3.52
Ac 0.6435 0.1320 0.0933  2 Pb 3.31, 2 Bi 3.45-3.48
Ac 0.8680 0.3565 0.9067  2 Pb 3.31, 2 Bi 3.45-3.48
Ac 0.8953 0.8953 0.6534  2 Pb 3.34, 1 Bi 3.45
Bi 0.2550 0.2550 0.1567  6 Ac 3.45-3.52
Bi 0.7450 0.7450 0.8433  6 Ac 3.45-3.52
Pb 0.2351 0.7649 0.5000  6 Ac 3.31-3.35
Pb 0.5000 0.5000 0.0000  6 Ac 3.31-3.41
Pb 0.7649 0.2351 0.5000  6 Ac 3.31-3.35

## Properties
Formation energy   -4.18 eV/f.u.
Total moment   0.01 Bohr magnetons per cell
DFT total energy   -4.303 eV per atom
Space group   C2/m, No. 12
Fermi-level density of states   13.9 states/eV/f.u.

No. 2
Here is a relaxed AcBi2Pb crystal from Alexandria. Energies are from PBE.

Cell: 5.2935 5.2935 4.7547 Å, 90.00 90.00 90.00°
Closest atoms and distances in Å follow each position.
Fractional coordinates of all 4 atoms:
Ac 0.0000 0.0000 0.0000  8 Bi 3.56, 4 Pb 3.74
Bi 0.0000 0.5000 0.5000  4 Pb 3.56, 4 Ac 3.56, 4 Bi 3.74
Bi 0.5000 0.0000 0.5000  4 Pb 3.56, 4 Ac 3.56, 4 Bi 3.74
Pb 0.5000 0.5000 0.0000  8 Bi 3.56, 4 Ac 3.74

## Properties
Formation energy   -2.02 eV/f.u.
Total moment   0.00 Bohr magnetons per cell
Distance to the lowest polymorph of the same formula   0.00 eV/f.u.
DFT total energy   -4.399 eV per atom
Space group   P4/mmm, No. 123
Fermi-level density of states   3.1 states/eV/f.u.

No. 3
Here is a relaxed Ac5Bi4Pb crystal from Alexandria. Energies are from PBE.

Cell: 6.8909 8.4458 8.4502 Å, 80.44 65.94 65.97°
Closest atoms and distances in Å follow each position.
Fractional coordinates of all 10 atoms:
Ac 0.0000 0.0000 0.0000  5 Bi 3.43-3.46, 1 Pb 3.46
Ac 0.1988 0.4015 0.1996  2 Pb 3.44-3.45, 4 Bi 3.45
Ac 0.3991 0.8031 0.3992  5 Bi 3.43-3.46, 1 Pb 3.46
Ac 0.5986 0.2019 0.6011  5 Bi 3.43-3.46, 1 Pb 3.46
Ac 0.8005 0.6012 0.7981  5 Bi 3.43-3.46, 1 Pb 3.46
Bi 0.1004 0.2002 0.5994  6 Ac 3.43-3.46
Bi 0.2987 0.6029 0.7998  6 Ac 3.43-3.46
Bi 0.5000 0.0018 0.9983  6 Ac 3.43-3.46
Bi 0.8991 0.8013 0.4009  6 Ac 3.43-3.46
Pb 0.6987 0.4015 0.1996  6 Ac 3.44-3.46

## Properties
Formation energy   -8.74 eV/f.u.
Total moment   0.00 Bohr magnetons per cell
DFT total energy   -4.851 eV per atom
Space group   P1, No. 1
Fermi-level density of states   6.0 states/eV/f.u.

No. 4
Here is a relaxed Ac2BiPb crystal from Alexandria. Energies are from PBE.

Cell: 4.6691 4.6691 26.3506 Å, 90.00 90.00 120.00°
Closest atoms and distances in Å follow each position.
Fractional coordinates of all 12 atoms:
Ac 0.0000 0.0000 0.0000  3 Bi 3.43, 3 Pb 3.55
Ac 0.0000 0.0000 0.1745  3 Bi 3.39, 3 Pb 3.53
Ac 0.3333 0.6667 0.6667  3 Bi 3.43, 3 Pb 3.55
~~~

(1) Poorly (2) Somewhat poorly (3) Adequately (4) Well (5) Very well

9. In particular, please rate these individual CLERKSHIPS on how well they address LGBT health:

a. OB-GYN (modify clerkships to fit your institution)
(0) Not Present / (1) Poorly / (2) Somewhat
poorly / (3) Adequately / (4) Well / (5) Very well
What does this clerkship do well relating to LGBT health?
What could it do better?
b. Psychiatry (modify clerkships to fit your institution)
(0) Not Present / (1) Poorly / (2) Somewhat
poorly / (3) Adequately / (4) Well / (5) Very well
What does this clerkship do well relating to LGBT health?
What could it do better?
c. Internal Medicine (modify clerkships to fit your institution)
(0) Not Present / (1) Poorly / (2) Somewhat
poorly / (3) Adequately / (4) Well / (5) Very well
What does this clerkship do well relating to LGBT health?
What could it do better?
d. Surgery
(0) Not Present / (1) Poorly / (2) Somewhat
poorly / (3) Adequately / (4) Well / (5) Very well
What does this clerkship do well relating to LGBT health?
What could it do better?

10. Please rate these individual ELECTIVES on how well they address LGBT health:

a. Adolescent Psychiatry (modify electives to fit your institution)
(0) Not Present / (1) Poorly / (2) Somewhat
poorly / (3) Adequately / (4) Well / (5) Very well
What does this elective do well relating to LGBT health?
What could it do better?

11. Please rate how well each of the following subject areas* is covered in our formal curriculum:

a. Terminology surrounding LGBT health (introducing the words “gay,” “MSM,” etc)
(0) Not Present / (1) Poorly / (2) Somewhat
poorly / (3) Adequately / (4) Well / (5) Very well
Where is this topic covered in the curriculum?
Where else might it be covered?
b. Increased risk for breast cancer in lesbian women
(0) Not Present / (1) Poorly / (2) Somewhat
poorly / (3) Adequately / (4) Well / (5) Very well
Where is this topic covered in the curriculum?
Where else might it be covered?
c. Increased rate of HIV among young men who have sex with men
(0) Not Present / (1) Poorly / (2) Somewhat
poorly / (3) Adequately / (4) Well / (5) Very well
Where is this topic covered in the curriculum?
Where else might it be covered?
d. Office practices surrounding gender identity (sensitivity to gender variance in bathroom setup, health history forms, etc.)
(0) Not Present / (1) Poorly / (2) Somewhat
poorly / (3) Adequately / (4) Well / (5) Very well
Where is this topic covered in the curriculum?
Where else might it be covered?

*Modify the topics as needed to cover major LGBT health disparities and competency skills. Other potential topics to include: Social stigma surrounding bisexual identity; Increased rate of suicide among LGBT youth; Increased rates of HIV among black men who have sex with men; Increased substance use by LGBT patients; Increased risk for anal cancer in men who have sex with men